-- Listing --
********
PrGa4Ir2 | GGA-PBE | relaxed

Lattice parameters (Å, degrees): 4.3740 6.6354 17.3924 90.00 90.00 90.00
Last column: nearest neighbours and their distance in Å.
Fractional coordinates of all 28 atoms:
Ga1 0.7500 0.8420 0.4658  3 Ir 2.58-2.67, 2 Ga 2.83-2.85
Ga2 0.2500 0.3420 0.0342  3 Ir 2.58-2.67, 2 Ga 2.83-2.85
Ga3 0.2500 0.4894 0.4318  4 Ir 2.53-2.78, 1 Ga 2.83
Ga4 0.2500 0.2922 0.6896  3 Ir 2.60, 2 Ga 2.69-2.85
Ga5 0.2500 0.0106 0.9318  4 Ir 2.53-2.78, 1 Ga 2.83
Ga6 0.2500 0.2078 0.1896  3 Ir 2.60, 2 Ga 2.69-2.85
Ga7 0.2500 0.8028 0.1870  4 Ir 2.61-2.64, 1 Ga 2.69
Ga8 0.7500 0.3028 0.3130  4 Ir 2.61-2.64, 1 Ga 2.69
Ga9 0.7500 0.6580 0.9658  3 Ir 2.58-2.67, 2 Ga 2.83-2.85
Ga10 0.2500 0.1580 0.5342  3 Ir 2.58-2.67, 2 Ga 2.83-2.85
Ga11 0.7500 0.5106 0.5682  4 Ir 2.53-2.78, 1 Ga 2.83
Ga12 0.7500 0.9894 0.0682  4 Ir 2.53-2.78, 1 Ga 2.83
Ga13 0.7500 0.7078 0.3104  3 Ir 2.60, 2 Ga 2.69-2.85
Ga14 0.7500 0.7922 0.8104  3 Ir 2.60, 2 Ga 2.69-2.85
Ga15 0.7500 0.1972 0.8130  4 Ir 2.61-2.64, 1 Ga 2.69
Ga16 0.2500 0.6972 0.6870  4 Ir 2.61-2.64, 1 Ga 2.69
Ir1 0.7500 0.4946 0.7135  7 Ga 2.53-2.62
Ir2 0.2500 0.7553 0.5371  7 Ga 2.54-2.78
Ir3 0.2500 0.5054 0.2865  7 Ga 2.53-2.62
Ir4 0.7500 0.2553 0.9629  7 Ga 2.54-2.78
Ir5 0.2500 0.9946 0.7865  7 Ga 2.53-2.62
Ir6 0.7500 0.2447 0.4629  7 Ga 2.54-2.78
Ir7 0.7500 0.0054 0.2135  7 Ga 2.53-2.62
Ir8 0.2500 0.7447 0.0371  7 Ga 2.54-2.78
Pr1 0.2500 0.0005 0.3601  9 Ga 3.04-3.28, 4 Ir 3.26-3.36
Pr2 0.7500 0.9995 0.6399  9 Ga 3.04-3.28, 4 Ir 3.26-3.36
Pr3 0.7500 0.5005 0.1399  9 Ga 3.04-3.28, 4 Ir 3.26-3.36
Pr4 0.2500 0.4995 0.8601  9 Ga 3.04-3.28, 4 Ir 3.26-3.36

Output
As for the space-group type: No. 62. The calculation puts the density of states at the Fermi level at 3.62 states/eV/f.u. The total energy is -38.92 eV/f.u.

* * * * *

Density functional theory data (PBE) for an optimized crystal structure of Pr2Zn16Ir.

abc: 9.0539 9.0539 13.3008
angles: 90.00 90.00 120.00
Space group R3m (No. 160, hexagonal axes)
Symmetry-distinct sites (fractional):
Pr (0.0000, 0.0000, 0.0000)
Pr (0.0000, 0.0000, 0.3285)
Zn (0.0000, 0.0000, 0.5680)
Zn (0.0001, 0.2852, 0.6700)
Zn (0.0077, 0.5038, 0.8198)
Zn (0.1673, 0.3345, 0.8486)
Zn (0.1706, 0.3412, 0.5029)
Ir (0.0000, 0.0000, 0.7669)

Output
Theoretical density ... 8022 kg/m³
Crystal system ... trigonal
Energy ... -131.8 eV for the cell shown
DOS(E_F) ... 22.44 states/eV/cell
Total magnetic moment ... 0.000 μB per atom

* * * * *

Ta2NbW | PBE-GGA | optimized geometry

## Properties
Calculated formation energy in eV per formula unit: -0.1
Volume in A^3/atom: 17.6

Structure (CIF):
```
data_Ta2NbW
_chemical_formula_sum 'Ta8 Nb4 W4'
_space_group_name_H-M_alt 'F -4 3 m'
_space_group_IT_number 216
_space_group_name_Hall 'F -4 2 3'
_cell_length_a 6.5500
_cell_length_b 6.5500
_cell_length_c 6.5500
_cell_angle_alpha 90.00
_cell_angle_beta 90.00
_cell_angle_gamma 90.00
loop_
_atom_site_label
_atom_site_fract_x
_atom_site_fract_y
_atom_site_fract_z
Ta1 0.0000 0.0000 0.0000
Ta2 0.2500 0.2500 0.2500
Nb1 0.2500 0.2500 0.7500
W1 0.0000 0.0000 0.5000
```

* * * * *

The following is a PBE calculation of a geometry-optimized Pm4Pr2Dy3 structure, from Alexandria.

## Properties
Calculated volume (Å³ per cell): 310
Raw total energy (Ry per atom): -0.3420
Magnetic moment (μB per cell): 0.01
ΔH_f (0 K) (kJ/mol of formula units): 47
Energy above the lowest structure with this stoichiometry (meV/atom): 0.0

a = 3.6394 Å, b = 3.6394 Å, c = 26.9872 Å
α = 90.00°, β = 90.00°, γ = 120.00°
Last column: nearest neighbours and their distance in Å.
Sites, in units of the cell vectors:
1 Pm 0.0000 0.0000 0.5444  3 Dy 3.58, 9 Pm 3.64-3.65
2 Pm 0.6667 0.3333 0.4336  3 Dy 3.60, 9 Pm 3.64-3.65
3 Pm 0.6667 0.3333 0.2209  3 Dy 3.51, 1 Pr 3.58, 6 Pm 3.64
4 Pm 0.0000 0.0000 0.7589  3 Dy 3.57, 6 Pm 3.64, 3 Pr 3.71
5 Pr 0.6667 0.3333 0.0881  3 Dy 3.55, 1 Pm 3.58, 6 Pr 3.64
6 Pr 0.6667 0.3333 0.8721  3 Dy 3.64, 6 Pr 3.64, 3 Pm 3.71
7 Dy 0.0000 0.0000 0.9821  6 Pr 3.55-3.64, 6 Dy 3.64
********

-- Job --
The reader should type out the lines earlier on up to the one that holds "Ta1 0.0000", that line included.

-- Response --
PrGa4Ir2 | GGA-PBE | relaxed

Lattice parameters (Å, degrees): 4.3740 6.6354 17.3924 90.00 90.00 90.00
Last column: nearest neighbours and their distance in Å.
Fractional coordinates of all 28 atoms:
Ga1 0.7500 0.8420 0.4658  3 Ir 2.58-2.67, 2 Ga 2.83-2.85
Ga2 0.2500 0.3420 0.0342  3 Ir 2.58-2.67, 2 Ga 2.83-2.85
Ga3 0.2500 0.4894 0.4318  4 Ir 2.53-2.78, 1 Ga 2.83
Ga4 0.2500 0.2922 0.6896  3 Ir 2.60, 2 Ga 2.69-2.85
Ga5 0.2500 0.0106 0.9318  4 Ir 2.53-2.78, 1 Ga 2.83
Ga6 0.2500 0.2078 0.1896  3 Ir 2.60, 2 Ga 2.69-2.85
Ga7 0.2500 0.8028 0.1870  4 Ir 2.61-2.64, 1 Ga 2.69
Ga8 0.7500 0.3028 0.3130  4 Ir 2.61-2.64, 1 Ga 2.69
Ga9 0.7500 0.6580 0.9658  3 Ir 2.58-2.67, 2 Ga 2.83-2.85
Ga10 0.2500 0.1580 0.5342  3 Ir 2.58-2.67, 2 Ga 2.83-2.85
Ga11 0.7500 0.5106 0.5682  4 Ir 2.53-2.78, 1 Ga 2.83
Ga12 0.7500 0.9894 0.0682  4 Ir 2.53-2.78, 1 Ga 2.83
Ga13 0.7500 0.7078 0.3104  3 Ir 2.60, 2 Ga 2.69-2.85
Ga14 0.7500 0.7922 0.8104  3 Ir 2.60, 2 Ga 2.69-2.85
Ga15 0.7500 0.1972 0.8130  4 Ir 2.61-2.64, 1 Ga 2.69
Ga16 0.2500 0.6972 0.6870  4 Ir 2.61-2.64, 1 Ga 2.69
Ir1 0.7500 0.4946 0.7135  7 Ga 2.53-2.62
Ir2 0.2500 0.7553 0.5371  7 Ga 2.54-2.78
Ir3 0.2500 0.5054 0.2865  7 Ga 2.53-2.62
Ir4 0.7500 0.2553 0.9629  7 Ga 2.54-2.78
Ir5 0.2500 0.9946 0.7865  7 Ga 2.53-2.62
Ir6 0.7500 0.2447 0.4629  7 Ga 2.54-2.78
Ir7 0.7500 0.0054 0.2135  7 Ga 2.53-2.62
Ir8 0.2500 0.7447 0.0371  7 Ga 2.54-2.78
Pr1 0.2500 0.0005 0.3601  9 Ga 3.04-3.28, 4 Ir 3.26-3.36
Pr2 0.7500 0.9995 0.6399  9 Ga 3.04-3.28, 4 Ir 3.26-3.36
Pr3 0.7500 0.5005 0.1399  9 Ga 3.04-3.28, 4 Ir 3.26-3.36
Pr4 0.2500 0.4995 0.8601  9 Ga 3.04-3.28, 4 Ir 3.26-3.36

Output
As for the space-group type: No. 62. The calculation puts the density of states at the Fermi level at 3.62 states/eV/f.u. The total energy is -38.92 eV/f.u.

* * * * *

Density functional theory data (PBE) for an optimized crystal structure of Pr2Zn16Ir.

abc: 9.0539 9.0539 13.3008
angles: 90.00 90.00 120.00
Space group R3m (No. 160, hexagonal axes)
Symmetry-distinct sites (fractional):
Pr (0.0000, 0.0000, 0.0000)
Pr (0.0000, 0.0000, 0.3285)
Zn (0.0000, 0.0000, 0.5680)
Zn (0.0001, 0.2852, 0.6700)
Zn (0.0077, 0.5038, 0.8198)
Zn (0.1673, 0.3345, 0.8486)
Zn (0.1706, 0.3412, 0.5029)
Ir (0.0000, 0.0000, 0.7669)

Output
Theoretical density ... 8022 kg/m³
Crystal system ... trigonal
Energy ... -131.8 eV for the cell shown
DOS(E_F) ... 22.44 states/eV/cell
Total magnetic moment ... 0.000 μB per atom

* * * * *

Ta2NbW | PBE-GGA | optimized geometry

## Properties
Calculated formation energy in eV per formula unit: -0.1
Volume in A^3/atom: 17.6

Structure (CIF):
```
data_Ta2NbW
_chemical_formula_sum 'Ta8 Nb4 W4'
_space_group_name_H-M_alt 'F -4 3 m'
_space_group_IT_number 216
_space_group_name_Hall 'F -4 2 3'
_cell_length_a 6.5500
_cell_length_b 6.5500
_cell_length_c 6.5500
_cell_angle_alpha 90.00
_cell_angle_beta 90.00
_cell_angle_gamma 90.00
loop_
_atom_site_label
_atom_site_fract_x
_atom_site_fract_y
_atom_site_fract_z
Ta1 0.0000 0.0000 0.0000